Mini Story 10 - Jo McCarthy, Shop Owner, Firain Shop

Updated: May 26, 2023

I've been following Jo for a while over on Instagram (@jo_at_firain), her feed is beautiful and full of inspiration and I was so happy that she agreed to take part in this little story. Jo runs Firain, an online shop filled with homemade gifts and homewares from independent makers, she has a real eye for selecting beautiful products from small brands with a great story and everything comes packaged with such care and it feels like a real treat when you receive your order.

When choosing a name for the shop, the ancient welsh word 'firain' came to us. meaning 'good, noble, fair and fine', for us it evokes the feelings of provenance, integrity and authenticity. i look for handmade pieces that are not only uplifting to use, but are made in an ethical way by passionate creatives - many of whom run very small businesses themselves.

When did you open your online shop?

I opened at the end of September 2017. I remember pressing buttons in a sort of out-of-body experience and suddenly, we were in business! I was amazed to have real customers (not just my mum!) on the very first day and suddenly panicking that I had no idea how to wrap anything!

Why did you want to be a shop-keeper?

I have always loved bringing people together (give me a party to arrange and I am in my element!) and there is something about being a shopkeeper that satisfies this need in me. I enjoy working with such a beautiful variety of makers and introducing them to appreciative customers through Firain is a joy. I am artistic and creative but I don't make anything, so being a gallery space for those that do is a privilege. 

What did you do before you started? 

I have done a very wide range of jobs, from being a gardener to an estate agent and lots in between! I must say that being a freelancer really suits my short-attention span! 

Any other interesting snippets you would like to share about how Firain came to be. 

I opened the shop just after my big brother died. It was honestly one of the toughest times in my life and I worked on autopilot. It's amazing how running the shop has helped me to focus on positive and good things. 

How do you find new suppliers?

Most of the makers I stock have caught my eye on Instagram. I generally stalk someone for a while and get a feel for their brand then take the plunge and send them a DM or an email. 

What makes you say YES to a new supplier? 

I wish I could say 'yes' to more people because there is so much handmade talent out there. However, one of my core values is to 'shop slowly.' I don't stock things in Firain just to follow trends or to constantly have new stuff. I want to have products that I connect with because they are made by talented craftspeople. If I do go ahead with an order, it's usually because I have fallen hard for the products; they are priced realistically and most importantly I think my customers will love them too. I have made mistakes along the way - I have overstocked and understocked! 

What way do you think it's best for a potential supplier to reach out to you? How often do you think it's appropriate for them to follow up?

Many shopkeepers wouldn't like this approach, but I quite like a quick DM on Instagram. It helps if the potential supplier has looked at my name, my website, my social media and are realistic about whether their product will fit in my shop. By sending a DM, this gives me the chance to look at the maker's Instagram, and then if I think it would be good to know more, I will ask the person to email me. The hardest people to respond to are those who have clearly copy and pasted a message that they are blasting out to lots of shops. It's so much better to spend a little time making each message relevant and personal. 

What makes a supplier a good supplier?

I am quite selective about working with people who understand my limitations as a small business; the makers with whom I work are generally themselves very small businesses with financial and time constraints. We allow each other time to pause and breathe. I appreciate suppliers who communicate well, who tell me when new products are being launched so I can consider stocking them, who promote my shop, who deliver on time; who supply good, high-quality photos if possible; who provide dimensions for their products; who list Firain as a stockist on their own website; who package their items in recyclable or reusable packaging. overall, I look for people who are generally just easy to work with! I have been really fortunate so far! 

Someone pasted data records at this point:
'''
[1]
Below is a relaxed Ba9Y2Si6O24 crystal, with properties calculated at the GGA-PBE level.

Unit cell a=10.1744 b=10.1744 c=22.4861 alpha=90.00 beta=90.00 gamma=120.00
Space group R-3 (No. 148, hexagonal axes)
One atom of each set of equivalent atoms:
Ba  0.0000  0.0000  0.0000
Ba  0.0000  0.0000  0.3378
Ba  0.0041  0.6980  0.5579
Y  0.0000  0.0000  0.1641
Si  0.0056  0.6512  0.4071
O  0.0034  0.8066  0.4260
O  0.0085  0.1799  0.8989
O  0.0081  0.8259  0.7783
O  0.0275  0.6285  0.3372

total moment	0.0	Bohr magnetons per cell
formation energy from the elements	-3.446	eV/atom

[2]
Below is a relaxed BaZn2Si2O7 crystal, with properties calculated at the GGA-PBE level.

Unit cell a=13.1669 b=7.7511 c=6.8248 alpha=90.00 beta=90.00 gamma=90.00
Space group Cmc2_1 (No. 36)
One atom of each set of equivalent atoms:
Ba  0.0000  0.2398  0.0000
Zn  0.2262  0.0008  0.7535
Si  0.1164  0.2994  0.4987
O  0.0000  0.3932  0.4970
O  0.1253  0.1837  0.6959
O  0.1306  0.1931  0.2952
O  0.1953  0.4669  0.5031

total moment	0.0	Bohr magnetons per cell
formation energy from the elements	-2.852	eV/atom

[3]
Below is a relaxed Ba2ZnSi2O7 crystal, with properties calculated at the GGA-PBE level.

Unit cell a=8.5403 b=10.8832 c=8.5518 alpha=90.00 beta=110.97 gamma=90.00
Space group C2/c (No. 15)
One atom of each set of equivalent atoms:
Ba  0.2266  0.0420  0.4740
Zn  0.0000  0.2585  0.7500
Si  0.1138  0.2814  0.1372
O  0.0000  0.3337  0.2500
O  0.0280  0.3525  0.9563
O  0.1091  0.1326  0.1326
O  0.2000  0.1569  0.7652

total moment	0.0	Bohr magnetons per cell
formation energy from the elements	-3.146	eV/atom

[4]
Below is a relaxed BaZn2Si2O7 crystal, with properties calculated at the GGA-PBE level.

Unit cell a=13.0847 b=7.9984 c=6.7117 alpha=90.00 beta=90.00 gamma=90.00
Space group Cmcm (No. 63)
One atom of each set of equivalent atoms:
Ba  0.0000  0.2288  0.2500
Zn  0.2242  0.5000  0.0000
Si  0.1187  0.2055  0.7500
O  0.0000  0.1195  0.7500
O  0.1309  0.3105  0.5445
O  0.1932  0.0368  0.7500

total moment	0.0	Bohr magnetons per cell
formation energy from the elements	-2.856	eV/atom

[5]
Below is a relaxed Ba2Zr2Si3O12 crystal, with properties calculated at the GGA-PBE level.

Unit cell a=10.4649 b=10.4649 c=10.4649 alpha=90.00 beta=90.00 gamma=90.00
Space group P2_13 (No. 198)
One atom of each set of equivalent atoms:
Ba  0.0520  0.0520  0.0520
Ba  0.1844  0.3156  0.6844
Zr  0.1007  0.8993  0.3993
Zr  0.1651  0.6651  0.8349
Si  0.0199  0.2140  0.3760
O  0.0064  0.5630  0.7648
O  0.0128  0.0667  0.3213
O  0.0511  0.8083  0.2284
O  0.0930  0.8340  0.7566

total moment	0.0	Bohr magnetons per cell
formation energy from the elements	-3.495	eV/atom

[6]
Below is a relaxed BaZrSi3O9 crystal, with properties calculated at the GGA-PBE level.

Unit cell a=6.8701 b=6.8701 c=10.2055 alpha=90.00 beta=90.00 gamma=120.00
Space group P-6c2 (No. 188)
One atom of each set of equivalent atoms:
Ba  0.0000  0.0000  0.0000
Zr  0.6667  0.3333  0.0000
Si  0.0550  0.4464  0.2500
'''

What advice would you give someone who's thinking about starting to wholesale?

Besides understanding the process of wholesaling, I would say it's important that a maker starts to get really good systems in place in their workshop/ office to alleviate stress when things get busy. I would also take advice on the wholesale catalogue or line sheet from a friend or mentor who can look at it from the perspective of a shop owner. For example, are the thumbnail pictures easy to see on a mobile? Does the PDF print off well in black and white? Is the pricing structure easy to understand? Is the MOQ reasonable? These are really small things that it's worth paying attention to! 

Any other wise words?

My strongest advice is this: just try. A friend of mine printed off a label to stick to my computer that reads: don't overthink it. We have so many privileges and choices and freedoms in this part of the world, so try to enjoy them and bring joy to others through your creativity. 

Final words

Thank you so much Jo for all your brilliant nuggets of advice, I'm sure other small business owners will find these so helpful. I love to connect on Instagram and actually get to know the behinds the scenes a bit more and sharing little stories like these.

When you're after a little bit of retail therapy or a gift, for yourself or someone you care for, please visit Firain, I promise, you will feel super special when you get that parcel through the door and make sure you follow Jo on Instagram, @jo_at_firain for a daily dose of inspiration.

As always, if you want to find out more about working with me you can send me an email here or read more about the services I offer here, finally you can follow me over on Instagram, @small_business_collaborative.